A Space For Community: Time To Talk About Midnight
With brands lately you may have felt that there is no real connection between you and them, you are just another consumer that gets the same shirt, printed by the same machine, in a factory thousands of miles away from you, the potential consumer.
There’s no hiding away from the fact that fashion created this structure. Decades of global expansion and the whirlwind economics of the world are to blame for this dangerous mixture. However, if we take another viewpoint, if we look at it from a business outlook, we as consumers contributed and continue contributing to this system that fails us in so many ways.
In today’s age, a great piece of design, supported by an equally respectable story, mixed with a lot of love and culture surrounding all facets of a label, is yet still not enough to guarantee any traction, attention, hype and ultimately commercial success.
The crowd needs more than this, consumers demand an insane amount of exposure and in this world driven by metrics, it’s constantly expected to see that high profile celebrities, ambassadors and ultimately those who are deemed ‘Important people’ are wearing the brand. That people in the big capitals of the world are joining in, that industry leaders are giving it the seal of approval as well as household names supporting and collaborating with said brand.
The validation of a few people and big names has become THE validation.
And then, there is MIDNIGHT. In a small town in Germany called Moenchengladbach, 367 miles away from Berlin, far away from all the shining lights, major brand support and all the superficial things that help fuel the hype, Can Demirezen and his hometown label, MIDNIGHT, are paving forward they’re own path in their local neighbourhood.
With the odds stacked against him, Can is proving time and time again that location and the ability to name drop doesn’t matter when you have a brand built on principles straight out of a future schoolbook on the origins of streetwear. A true artist, with an accessible creative output, and with a culture and a community-based movement behind him, that isn't afraid to make noise far away from the industry determined key cities and marketing groups.
Can who is heavily influenced by Jean Michel Basquiat, Franz Klein and Gerhard Richter started hand-painting his first sweatshirt in 2016, a lot of positive feedback and a pop-up later Midnight has travelled Europe.
**Inserted here: records of molecules:**
Entry 1:
{
  "formula": "C33H31NO3PRhS",
  "method": "the ωB97M-V functional and the def2-TZVPD basis",
  "s2": 6.044,
  "multiplicity": 5,
  "lumo_energy_ev": [-0.22, -2.24],
  "e_above_lowest_kcal_mol": 104.3,
  "symbols": ["Rh", "C", "C", "C", "C", "N", "C", "C", "C", "C", "C", "C", "C", "H", "H", "H", "H", "H", "H", "H", "H", "O", "S", "O", "O", "C", "C", "C", "C", "C", "C", "P", "C", "C", "C", "C", "C", "C", "C", "C", "C", "C", "C", "C", "H", "H", "H", "H", "H", "H", "H", "H", "H", "H", "H", "H", "H", "H", "C", "C", "C", "C", "H", "H", "H", "H", "H", "H", "H", "H", "H"],
  "coordinates": [[0.108, 0.823, 0.699], [-2.935, 3.238, 2.516], [-2.251, 3.817, 3.610], [-0.910, 3.576, 3.754], [-0.230, 2.753, 2.845], [-0.939, 2.158, 1.812], [-2.236, 2.429, 1.662], [1.170, 2.469, 2.815], [2.122, 2.976, 3.718], [3.458, 2.694, 3.547], [3.888, 1.906, 2.488], [2.957, 1.366, 1.598], [1.619, 1.636, 1.758], [-3.984, 3.420, 2.356], [-2.786, 4.443, 4.307], [-0.358, 4.014, 4.572], [-2.714, 1.962, 0.803], [1.797, 3.589, 4.546], [4.181, 3.093, 4.244], [4.938, 1.695, 2.351], [3.301, 0.738, 0.783], [-0.694, -3.612, -2.450], [0.214, -2.514, -2.515], [0.141, -1.671, -3.665], [-0.071, -1.582, -1.195], [1.870, -2.946, -2.115], [2.605, -3.919, -2.771], [3.911, -4.136, -2.377], [4.471, -3.392, -1.327], [3.728, -2.407, -0.691], [2.422, -2.172, -1.086], [1.217, -0.963, -0.404], [1.749, 0.358, -1.827], [1.203, 1.630, -1.766], [1.475, 2.577, -2.739], [2.321, 2.255, -3.787], [2.906, 1.002, -3.832], [2.629, 0.058, -2.855], [1.050, -2.118, 1.210], [0.678, -1.517, 2.400], [0.601, -2.243, 3.577], [0.905, -3.593, 3.568], [1.240, -4.210, 2.375], [1.310, -3.482, 1.198], [2.151, -4.482, -3.572], [4.510, -4.876, -2.883], [5.479, -3.599, -1.006], [4.160, -1.827, 0.110], [0.547, 1.914, -0.915], [1.043, 3.566, -2.671], [2.531, 2.982, -4.558], [3.595, 0.745, -4.624], [3.116, -0.901, -2.924], [0.441, -0.440, 2.422], [0.315, -1.753, 4.494], [0.889, -4.160, 4.485], [1.454, -5.268, 2.356], [1.562, -3.996, 0.284], [-4.646, 0.564, -0.618], [-3.446, -0.377, -0.831], [-3.501, -0.931, -2.268], [-2.153, 0.313, -0.611], [-5.565, 0.029, -0.840], [-4.574, 1.430, -1.272], [-4.689, 0.905, 0.413], [-3.548, -1.209, -0.124], [-3.441, -0.122, -2.995], [-4.442, -1.457, -2.420], [-2.676, -1.620, -2.448], [-1.464, -0.149, 0.117], [-1.776, 0.919, -1.422]],
  "mulliken_charge": [-1.512, -0.874, -0.436, -1.177, 0.761, 0.358, -0.030, 0.316, -0.709, -0.735, -0.969, -0.089, 0.573, 0.456, 0.416, 0.357, 0.302, 0.370, 0.381, 0.428, 0.285, -0.687, 1.196, -0.631, 0.146, 1.074, -0.763, -0.697, -0.830, -0.635, -0.763, 1.742, 1.872, -0.523, -1.326, -0.738, -0.856, -0.829, 1.057, -0.152, -1.066, -0.597, -0.793, -0.687, 0.511, 0.417, 0.449, 0.532, 1.013, 0.516, 0.394, 0.454, 0.264, 0.625, 0.504, 0.396, 0.439, 0.369, -1.711, 0.885, -1.295, -1.852, 0.478, 0.346, 0.399, 0.255, 0.339, 0.437, 0.147, 1.004, 0.694]
}


Entry 2:
{
  "formula": "C21H24O5",
  "method": "the ωB97M-V functional and the def2-TZVPD basis",
**Back to the text:**
Staying true to his beginnings, every shirt that is sold today is still hand-printed or screen-printed. Authenticity and transparency are the absolute key for Can.
Clothes are just a small part in the MIDNIGHT universe, Can hosts events in his Midnight box, giving young and up and coming creatives, not just from his area but from around the world an opportunity to showcase their art and very recently he hosted a small “festival” with acts from Berlin and London. Community and culture in harmony is the magical potion.
It’s time to talk About Midnight.
Dear Can, can you please introduce your art, your brand and story to sabukaru.online?
My name is Can and I am currently living in Mönchengladbach.
MIDNIGHT is my fashion label, well let’s call it a space for community, that I founded a couple of years ago. During that time, I was heavily involved in the techno scene and used to DJ in many different countries - of course, always during at night and that is where the name is coming from. I used to watch all different kind of people entering and leaving the club which inspired me so much. It’s crazy how people show so many different sides of themselves at night, isn’t it?! I try to showcase this in my pieces.
It all started at the end of 2016. I was inspired by artists like Andy Warhol, Keith Haring, Basquiat or Roy Lichtenstein - artists that created their work mostly with their own hands. It is not the output that inspires me but the different working techniques and possibilities we have to create something great. In a world full of fast fashion and short-termed hype brands, I wanted to do something that I can call my own product. Moreover, it was really important for me to stick to traditional techniques with less use of digital programs like photoshop or whatsoever.
I don’t see MIDNIGHT as a pure fashion brand, for me it is way more. I use clothing as a canvas to showcase my art, feelings moods and more. That means I make my art accessible to everybody which is something that is totally rare nowadays having in mind how much money you have to pay to see an exhibition. Besides fashion, MIDNIGHT does a lot more for its community. As a haven for people, we host events, concerts and even do workshops with our community members.
For us, it is really important to give disadvantaged people a place where they can feel save but even more, a voice that tells everyone they are still alive.”
When and how did you discover your creative hustle and at what point did you decide to turn it into a brand?
I used to travel to London back in the day, I think it was around 2015, where I visited the Saatchi Gallery. For me, this was the turning point of my life but also career. I started painting pictures but as I always had a strong connection to clothes, I thought it’d be cool to draw on an old Levis Denim Jacket that was laying in my closet. I shared the final result on Instagram and that’s where finally everything took its course. Levis Germany shared the image on their Instagram Account and I slowly started to gain a social buzz, at least you would call it like that today.
I saw potential in my work and thought „Let’s make something bigger out of it“ - the first product we officially launched was a hoodie that I gave out to friends and cultural leaders in my area. From then on, I tried to evolve on every further product and here I am now.
Actually, it is one of my dreams and visions to realize a cooperation with a bigger brand in the near future, but for me, it will always be ” MIDNIGHT for….”
Can you please explain to us a little bit about the importance of community and culture in your designs, life and for your brand?
Every design has its own story. The first screen-print I ever made, showed the block where I grew up and I wanted to give something back to the people. Show others, that WE also have dreams and visions that we want to complete. Mostly no brand understands this, it’s not about creating a short-termed Hype but creating a community that sticks to your brand on a long term run.
I would rather have 100 people that support us forever than 10000 people that only buy one product.”
It is more about culture and design, it is about slow fashion.
The German streetwear scene is still a fairly young scene with many kids being raised by hype and the obvious brands and stories. How hard but also exciting is it to start your own brand in this wild mix of big logos and “Instagram streetwear”?
That’s exactly the point. I see a lot of people only focusing on Hype without looking truly looking on other brands - to be honest, I think that’s slightly ignorant and not sustainable at all. Of course, it is super hard for a small brand if you want to grow organically, but at the end of the day, only authenticity matters. For sure, it is always cool if a famous rapper or celebrity wears your stuff because it pushes sales super quickly but yea, at the end of the day he is wearing another brand three days later. For me, it is more about creating brand lovers, people that get back to me without following up twice a day, you know?
While still being a young brand you always gained the attention and respect from many international artists. Can you please tell us a little bit more about you first encounters with artist like Octavian and how you make that all happen?
That’s a crazy story… haha! His first performance in Germany was around a year ago. One of my best friends @mercymilano was the opening DJ for Octavian’s performance and he asked me if I could prepare a shirt exclusively for Octavian and his crew, so I started working on that… for almost two weeks, hoping that he will love the result - and he did, obviously. We hung out a long time and talked about plenty of things. But the best thing was that he wore the shirt again two days later in Hamburg on his second performance.
What’s next for MIDNIGHT and Can Demirezen?
We just did a collaboration with 16 bars this month and hosted two launch events, one in Berlin and one in Mönchengladbach which was a great success. Even though I used to work as a techno DJ, I feel strongly connected to hip hop. For me, this was the perfect match - independent brands meet independent online media. I don’t want to say too much about what is upcoming, but MIDNIGHT is launching a limited collaboration with german rapper Mortel soon, so stay tuned!
Do you feel that you as a creator/artist had it harder to start of a brand like yours in a smaller town? the lack of opportunities or international influences made it more difficult for you then let’s say Berlin? Or did that boost your hustle even more?
Of course, its way more difficult to run a business with an international approach form a small city like Mönchengladbach but we are located between two of the most relevant cities when it comes to streetwear and fashion in general, Düsseldorf and Cologne. At the end of the day, I think its way more interesting to see a brand growing from a small town than from a place like Berlin.
Everyone is leaving their hometown to run a business in Berlin, but who is successful in the long term? I rather stay in my city and work from there, for me it’s very inspiring but also motivating.”
Why do you think it is so hard for bigger brands to give their buyers that sense of them not just being another consumer? Is it even possible for them? We know that is a huge issue for MIDNIGHT.
Even though everything is taking place online now, you have to be there as a brand and catch the true customer offline. Only a few brands are doing this at the moment and I believe a lot of brands will jump on the train sooner or later. I am following a three rule credo myself to give my community not the feeling of being just another customer.
I usually show all of my followers on Instagram how I produce the product that they will eventually buy and with which assets I usually work. Moreover, I stay true to my consumers by offering events, workshops and just giving them a good time when they are at the store. For me its more important if the people leave my store with an amazing experience and impression than buying a product but not coming back at the end of the day.
Thank you for your words and time
Thanks a lot guys for taking the time and preparing the questions. It’s a pleasure for me to be part of sabukaru.online! Much love xx
Text by Adrian Bianco, Jon Walner & Stephen Donald